The Sealed Book from the Mormon Plates

Acts of the Three Nephites



**Molecular data, kept here for reference**
********
The following is a quantum chemistry calculation of a structure of composition C7H28FeO19S3 in a non-equilibrium geometry, from the OMol25 dataset.

Each line ends with the Mulliken charge.
Geometry (Å):
Fe  -4.2343  -17.1456  -15.9802  1.66
S  -1.8319  -17.6129  -13.6687  1.16
S  -5.5282  -18.9355  -14.2145  1.13
S  -4.0754  -14.4961  -16.8250  0.44
O  -3.3733  -15.7522  -17.1570  -0.61
O  -7.3561  -14.8834  -18.1492  -0.58
O  -6.8296  -19.5780  -14.3876  -0.74
O  -5.6659  -17.2827  -17.4950  0.13
O  -3.2653  -17.5099  -20.2187  -0.51
O  -1.0317  -12.2023  -16.5625  -0.60
O  -2.9615  -18.3100  -17.3084  0.27
O  -0.5085  -16.9963  -13.8527  -0.78
O  -2.4399  -17.2596  -12.3605  -0.75
O  -4.8767  -11.4462  -18.8269  -0.64
O  -4.9235  -14.1052  -17.9830  -0.59
O  -2.6913  -17.1906  -14.8444  -0.73
O  -3.2689  -13.4689  -16.1897  -0.27
O  -1.7879  -19.0945  -13.5748  -0.78
O  -4.9102  -15.2229  -15.8222  -0.70
O  -4.8495  -19.2683  -12.9925  -0.63
O  -5.4438  -17.4719  -14.4426  -0.53
O  -3.3650  -12.5980  -13.4693  -0.63
O  -4.6450  -19.1607  -15.4409  -0.55
C  -4.3722  -10.7709  -17.6931  -0.51
C  -0.4184  -11.9483  -15.3255  -0.66
C  -8.1238  -14.0777  -17.3040  -0.72
C  -3.4360  -16.0898  -20.4248  -0.39
C  -2.8006  -13.7820  -12.8873  -0.45
C  -2.6016  -19.6832  -17.2691  -0.93
C  -6.4154  -18.4743  -17.7579  -0.83
H  -3.3503  -17.9711  -21.0524  0.26
H  -2.3814  -13.4707  -11.9317  0.35
H  0.5026  -11.3691  -15.4253  0.31
H  -7.7691  -14.0222  -16.2687  0.25
H  -4.8857  -12.3810  -18.5473  0.54
H  -2.6943  -18.0114  -18.1846  0.07
H  -8.1300  -13.0557  -17.7067  0.27
H  -6.8950  -18.3664  -18.7381  0.29
H  -0.4012  -12.8514  -14.7125  0.22
H  -4.2484  -15.6186  -19.8812  -0.02
H  -3.1694  -20.3687  -17.9109  0.26
H  -6.2217  -16.5833  -17.8667  0.25
H  -1.8305  -12.7571  -16.4310  0.51
H  -1.0109  -11.2386  -14.7197  0.23
H  -3.3109  -10.9696  -17.5068  0.18
H  -6.4307  -14.5471  -18.0620  0.24
H  -4.8572  -11.1506  -16.7866  0.16
H  -3.5609  -12.8107  -14.3904  0.35
H  -1.5624  -19.7536  -17.6156  0.32
H  -5.7528  -19.3281  -17.6733  0.12
H  -4.5039  -9.6883  -17.7408  0.35
H  -2.4950  -15.6061  -20.1556  0.20
H  -3.5640  -14.5596  -12.8523  0.22
H  -9.1651  -14.3938  -17.1940  0.30
H  -3.4560  -15.9660  -21.5132  0.45
H  -1.9845  -14.2324  -13.4620  0.10
H  -2.6340  -20.0565  -16.2486  0.24
H  -7.2528  -18.5572  -17.0611  0.29

Cartesian forces, eV/Å:
1.01 -1.60 2.60
0.11 -2.47 3.84
2.38 -0.64 -0.71
-1.27 -4.23 1.93
3.51 0.55 -3.40
-0.30 -0.56 -0.05
-0.29 0.48 -0.10
-0.88 -0.69 -1.03
-0.23 0.19 0.64
0.57 0.39 -0.47
-0.06 -0.99 -0.86
-0.07 0.23 -0.49
0.04 1.80 -1.05
0.06 0.36 0.01
0.90 1.53 0.00
-0.42 0.74 -0.65
-0.50 0.57 -1.01
0.76 0.22 -1.89
-2.63 2.59 1.68
-0.75 -0.61 0.28
-2.70 3.53 1.21
0.26 0.27 -0.08
0.23 -2.24 -1.50
0.33 -0.39 0.82
-1.37 0.68 0.76
-0.25 0.84 0.48
1.42 -0.46 -1.04
-0.13 -0.10 -0.49
1.06 -0.40 0.34
-0.57 0.29 0.04
-0.11 0.11 -0.01
-0.29 -0.32 0.23
0.47 -0.79 -0.39
0.43 -0.16 -0.12
-0.06 -0.19 -0.29
-0.38 0.60 0.05
********


41 But, behold, "they" became like the wild olive tree, and they are of no use except to be cut down and cast into the fire; but I feel sorry to lose them just like the rest of my vineyard. — What else could, however, I have done in my vineyard? I have nourished them, and I have digged about them, and I have pruned, and I have fertilized its roots; and I have stretched forth mine hand almost all the days long; but behold, the end draweth nigh, and therefore I feel I have to cut down all the trees of my vineyard, and cast them into the fire, that they may be burned. Who is it that has corrupted my vineyard1?

(1) RLDS Jacob 3:97-104 / LDS Jacob 5:46-47


42 And it came to pass that the Lord of the vineyard said unto the servant: Let us go, and hew down the trees of the vineyard, and cast them into the fire, that they shall not cumber the ground of my vineyard; for I have done all I could. What could I have done more for my vineyard? — But behold, the servant said unto the Lord of the vineyard, Spare it a little longer. And the Lord said: Yea, I will spare it a little longer; for it grieveth me that I should lose the trees of my vineyard1.

Here the entry breaks off for molecular data
/*
25
Properties=species:S:1:pos:R:3:forces:R:3 method="wB97M-V/def2-TZVPD" de_lowest_ev=4.713 energy_ev=-16597.602 homo_lumo_gap_ev="8.586 / 8.587" homo_ha="-0.3187 / -0.3187"
O 0.756 -1.127 0.467 -0.446 0.921 -0.500
O -1.357 0.507 0.503 0.021 -0.947 0.312
N 0.211 0.250 -2.805 0.364 -0.277 1.166
N 2.828 2.635 0.482 2.516 0.600 1.853
C -0.801 1.635 0.062 1.361 1.081 0.933
C 0.677 -0.070 -1.791 -0.184 -0.433 -0.292
C 3.598 -1.140 0.393 0.335 0.859 -1.075
C -3.141 0.465 -1.212 -0.116 -1.713 2.938
C 2.741 -0.515 -0.683 -0.682 -1.447 0.254
C 1.685 2.280 0.335 -0.627 -0.696 0.661
C 1.395 -0.558 -0.592 1.585 -0.083 -1.333
C -2.740 0.369 0.312 -2.588 -0.444 -1.182
C 0.484 1.869 0.249 -0.614 0.156 -0.108
H -3.240 1.108 0.949 -0.040 0.260 -0.418
H 0.073 -0.455 0.695 0.012 -0.943 0.270
H -1.437 2.421 -0.264 -0.786 0.233 -0.813
H -3.211 1.454 -1.346 0.317 3.689 -1.594
H 2.964 -1.216 1.230 -0.436 -0.407 1.310
H 4.083 -2.101 0.176 -0.453 0.175 -0.289
H -3.188 -0.569 0.653 1.253 -0.277 0.427
H 3.477 2.284 1.278 -1.672 0.255 -2.152
H 3.189 -0.144 -1.585 0.061 0.200 -0.242
H -4.110 0.107 -1.477 -0.896 -0.634 0.507
H 4.399 -0.447 0.603 0.386 0.195 0.278
H -2.469 -0.074 -1.807 1.330 -0.320 -0.911

27
Properties=species:S:1:pos:R:3:forces:R:3 method="wB97M-V/def2-TZVPD" de_lowest_ev=1.999 energy_ev=-29484.838 homo_lumo_gap_ev=8.258 homo_ha=-0.3259
S 3.261 -0.223 -0.327 -0.253 -0.830 -0.401
O 3.371 0.531 0.919 0.274 0.047 0.065
O 2.774 0.926 -1.432 -0.074 -0.516 0.529
O 4.487 -0.730 -0.879 0.155 0.305 -0.093
N 0.887 1.037 1.116 -0.295 -0.643 0.236
N 2.098 -1.237 -0.198 0.183 0.893 0.514
C 0.417 -0.170 1.246 0.554 0.540 0.131
C -1.209 1.813 0.089 0.219 0.064 0.122
C -1.220 -1.923 0.680 0.164 0.261 0.043
C -0.822 -0.585 0.649 -0.829 -0.013 -0.412
C -1.627 0.373 0.012 0.205 -0.113 0.187
C -2.398 -2.309 0.074 -0.048 -0.063 0.012
C -3.191 -1.363 -0.561 0.093 0.060 0.042
C -2.807 -0.031 -0.587 -0.065 -0.059 -0.042
C 0.312 1.947 0.148 -0.427 0.380 -0.406
H -4.114 -1.662 -1.034 -0.065 -0.033 -0.043
H -2.705 -3.344 0.094 -0.002 -0.085 -0.001
H -1.593 2.371 -0.766 0.018 0.009 0.050
H -3.436 0.697 -1.080 -0.023 0.088 -0.025
H -1.651 2.248 0.993 -0.005 0.038 -0.036
H 0.758 1.728 -0.829 -0.048 0.033 0.144
H 3.539 1.052 -1.992 0.397 0.174 -0.354
H 0.595 2.963 0.432 -0.006 -0.102 -0.077
H 0.938 -0.842 1.910 0.156 0.011 -0.039
H -0.583 -2.645 1.164 0.092 -0.137 0.056
H 1.938 1.081 1.236 -0.321 0.101 0.341
H 1.981 -1.704 -1.076 -0.049 -0.410 -0.544

25
Properties=species:S:1:pos:R:3:forces:R:3 method="wB97M-V/def2-TZVPD" de_lowest_ev=2.523 energy_ev=-25388.236 smiles="CC1=C[C@]12SC[C@@]1(C)NC(=O)N[C@H]12" homo_lumo_gap_ev=9.099 homo_ha=-0.3113
S 1.288 1.507 -1.075 -0.341 0.019 0.104
O -3.084 -1.880 -0.508 0.039 -0.141 -0.762
N -2.347 0.299 -0.262 -2.364 1.195 -0.757
N -0.968 -1.288 0.298 -3.150 -0.974 -1.316
C 2.275 -1.052 -0.213 0.111 -1.460 -0.190
C 1.459 -1.359 -1.223 0.464 -1.253 1.313
C -1.194 1.027 0.074 2.332 -0.213 -1.226
C -0.510 1.541 -1.277 -0.482 0.722 1.025
*/

(1) RLDS Jacob 3:109-111 / LDS Jacob 5:49-51


43 Let us therefore take the branches of these which I have planted in the low parts of my vineyard, and graft them on the tree from which they proceeded, that is, in the original graft; and pluck from the tree the branches that give the most bitter fruits and graft in its place the natural branches, coming from the original tree, so that the tree does not die, but preserve for me your roots, to comply with my purpose.


44 And, behold, the roots of the natural branches of the tree, which I planted where I pleased, are still alive; scattered throughout all the land of my vineyard, that I may preserve them also for a purpose of mine. I will therefore take its branches and graft them again into the original tree. Yea, I will graft upon them the branches of the original tree, that I also may preserve the roots unto myself, that when they are strong enough they may bring forth good fruits for me, and I may have glory in the fruit of my vineyard1.

(1) RLDS Jacob 3:112-117 / LDS Jacob 5:52-54


45 And it came to pass that they took of the natural tree, which had become wild, and grafted in the natural trees, which also had become wild. And they also took from the natural trees, which had become wild, and grafted in their original tree, that is, though they were many wild branches, all shared in common the sap of the original tree, so that the Lord of the vineyard said to the servant; do not pluck the branches out of the trees, except those that are very bitter; and you shall graft in them as I say1.

(1) RLDS Jacob 3:118-120 / LDS Jacob 5:55-57


46 And the Lord of the vineyard then said to his servant not to pluck out these wild branches, which were scattered throughout all the vineyard. Thus, He said, we will "take care again" of these trees1, to fulfill that which was written by Nephi concerning the Lord of the vineyard, when He shall stretch forth his hand a second time, to recover his people, which is of the house of Israel2, for the purpose of "swapping the branches," that is, grafting the natural branches in their original tree, so that the Lord of the vineyard came to rejoice for having preserved the roots and also the branches of the first fruit3.

(1) RLDS Jacob 3:112-117 / LDS Jacob 5:52-54 | (2) RLDS 2Nephi 12:42 / LDS 2Nephi 29:1 | (3) RLDS Jacob 3:123-124 / LDS Jacob 5:60

Inserted here: calculated molecules:
~~~
1.
{
  "formula": "Ca2H18NO12",
  "method": "wB97M-V/def2-TZVPD",
  "elements": ["Ca", "Ca", "N", "O", "O", "O", "O", "H", "H", "O", "H", "H", "O", "H", "H", "O", "H", "H", "O", "H", "H", "O", "H", "H", "O", "H", "H", "O", "H", "H", "O", "H", "H"],
  "coordinates": [[1.7765, 1.6051, 3.1317], [2.9961, -0.5393, -2.2366], [0.4335, 0.3385, 0.0274], [1.2457, 0.4577, -0.9636], [0.5147, 0.9454, 1.1213], [-0.5782, -0.3069, -0.2005], [0.1682, -3.4947, -0.9738], [0.8124, -4.1889, -1.1736], [0.5558, -2.9828, -0.2373], [1.1704, -2.4752, 1.4054], [1.2007, -3.2430, 2.0006], [1.3842, -1.7205, 1.9632], [-2.1542, -1.6982, -1.9982], [-1.6587, -1.0198, -1.5190], [-2.5706, -1.2377, -2.7385], [2.5343, 3.1568, 1.2590], [2.3689, 3.0674, 0.3098], [3.0128, 3.9992, 1.3520], [-0.5413, 1.3114, 3.6980], [-0.8333, 2.1210, 4.1543], [-1.3735, 0.8512, 3.4564], [-1.6871, 2.7991, -0.0439], [-2.3088, 3.0159, 0.6631], [-1.1238, 2.1177, 0.3222], [-2.2182, -0.7857, 2.0806], [-1.6225, -0.6994, 1.3122], [-1.7106, -1.2609, 2.7496], [-0.7524, 2.1289, -3.0247], [-0.1412, 1.5173, -2.6058], [-0.9450, 1.7508, -3.8931], [1.0447, -1.6863, -3.0675], [0.5430, -1.6589, -3.8982], [0.4578, -2.1852, -2.4327]],
  "mulliken_charge": [1.686, 1.633, 0.212, -0.440, -0.104, -0.264, -0.631, 0.341, 0.340, -0.602, 0.311, 0.206, -0.612, 0.395, 0.350, -0.514, 0.264, 0.316, -0.599, 0.364, 0.286, -0.560, 0.323, 0.229, -0.650, 0.361, 0.305, -0.551, 0.175, 0.321, -0.564, 0.315, 0.358],
  "total_energy_ha": -2322.62145,
  "total_charge": 3,
  "spin_multiplicity": 1
}

***

2.
{
  "formula": "C20H21F6N5O5S8SbZr",
  "method": "wB97M-V/def2-TZVPD",
  "elements": ["Zr", "N", "C", "C", "N", "H", "H", "H", "H", "H", "H", "H", "H", "S", "Sb", "S", "S", "S", "N", "C", "S", "C", "C", "C", "N", "C", "C", "H", "H", "H", "H", "H", "H", "C", "C", "O", "S", "C", "C", "C", "C", "C", "C", "C", "C", "H", "H", "H", "H", "H", "H", "H", "F", "C", "F", "F", "S", "O", "O", "N", "S", "O", "O", "C", "F", "F", "F"],
~~~


47 And the Lord of the vineyard saith unto his servant: Go, therefore, send angels again to the land, and call servants, that we may labor diligently with all force in my vineyard, that we may prepare the way by which I may obtain again the natural fruit of the vineyard, a fruit that it will be good and more precious than any other fruit, and so let us work this last time, with all the commitment you need to rescue my vineyard, for the end is near; and it will be the last time that I will prune the trees of my vineyard1.

(1) RLDS Jacob 3:125-126 / LDS Jacob 5:61-62


48 And the branches shall be planted again; beginning with the last, that they may be the first, and that the former be the last; and dig around the trees, both old and new, the first and the last; and the last and the first, so that 'all come back' to be treated for the last time. So dig around them and prune them and fertilize them again, for the last time, because the end is near. And if these last grafts develop and produce the natural fruit, then I will prepare the way for them, so that they may grow and remain united in me, the Lord of the vineyard1.

(1) RLDS Jacob 3:127-129 / LDS Jacob 5:63-64


49 And as they begin to grow, you will take away the branches that bear fruit, that is, bitter feelings, according to the strength and size of the good; and you shall not take away the wicked all at once, lest the roots become too strong for the graft, and your graft die, and I lose the trees of my vineyard again; therefore, you will remove the evil feelings as the good ones grow, so that the root and the tree tops have the same strength, until the good feelings overpower the bad and the bad are cut and thrown into the fire; and so I will consume the wicked out of my vineyard forever1.

(1) RLDS Jacob 3:130-132 / LDS Jacob 5:65-66


50 And the branches of the natural tree I will graft in the natural branches of the tree; and I will gather them again, that they may bring forth the natural fruit; and they shall be one in me again, the Lord of the vineyard; for how much, the wicked shall be thrown out, even out of all the land of my vineyard; and burned, for behold, only this time will more I prune my vineyard1.

(1) RLDS Jacob 3:133-135 / LDS Jacob 5:68-69